The problem at hand

Currently AEC industry adopts an old model to design and manage projects. Productivity and efficiency have not improved in the last decades.

[Paul Teicholz, in “Labor-Productivity Declines in the Construction Industry: Causes and Remedies -Another Look,  AECbytes Viewpoint #67,March 14, 2013]

Unlike the other industrial sectors, the construction industry creates unique products, built by different subjects, in different places, with different climatic conditions and regulations. We could say that it is a prototype industry. Innovative methods may not work on future projects, which are subject to extreme variability in demand.

There is a strong resistance to change, because the benefits of change cannot be realized in the prototype phases and require multiple applications over time to obtain a return on investment.

The construction supply system, its supply chain, is based on competitiveness rather than collaboration. There is often a lack of integration between design and construction, and poor collaboration between the members of the various players in the supply chain who operate on the construction site (specialized subcontracting teams).

## Attached: data records
The following is a DFT calculation (GGA-PBE) of KGaH4 after structural relaxation.

Formation enthalpy at 0 K   -0.2949 eV per atom
Energy   -3.1271 eV/atom

abc: 9.1684 5.6439 7.3428
angles: 90.00 90.00 90.00
Space group Pnma (No. 62)
Asymmetric unit:
K 0.1866 0.2500 0.1553 x4
Ga 0.0619 0.2500 0.6886 x4
H 0.0828 0.0205 0.8156 x8
H 0.0975 0.7500 0.3932 x4
H 0.1862 0.2500 0.5363 x4


An optimized crystal structure of HoCdAg2, computed with r2SCAN.

Lattice parameters (Å, degrees): 4.884 4.884 4.884 60.00 60.00 60.00
Fractional positions:
Ag 0.500 0.500 0.500
Ag 0.000 0.000 0.000
Ho 0.750 0.750 0.750
Cd 0.250 0.250 0.250

Calculated values
Space group: Fm-3m (225)
Energy in eV per atom: -24.215
ρ in g/cm³: 9.9
Volume in Å³/cell: 82

Mistakes, omissions and changes are often present, also because subcontractors benefit from variations and errors.

The result of this way of working are extra-budgetary works, often late. It is not surprising that labor productivity suffers under these conditions.

Error is a significant variable in the sector’s profitability model, and complexity makes it possible.

The construction sector is misusing data, which is largely based on paper documents produced by a highly fragmented design team. The construction sector is characterized by the use of paper documents produced by architects and designers who work independently and are unable to foresee the many problems of a project that emerge in the construction phase; this leads to strong difficulties in the coordination and management of work.

There are significant additional costs to be faced to solve the problems due to the non-congruent information that derive from independent project plans, and which result in errors, omissions, extra work, complaints during the construction phase.

The construction market is characterized by strong cyclicality, both in the micro and in the macro. The cycles are both general, in the sense of the cyclical phases of the market and punctual for the individual company, which is conditioned by the size of the jobs it can acquire. This strong cyclicality tends to keep investments in capital goods and prefabrication with the handbrake pulled, since these investments could not be used during a cyclical recession.

This character reinforces the use of production methods based on a high labor intensity, which by its nature is flexible in construction: to improve production performance, the sector tends to reduce the formation of the workforce and to employ the cheapest labor available.

But there are, at least two other aspects that make the construction sector a sector characterized by low productivity on which it is necessary to reflect. The first is that it is a sector characterized by many micro-enterprises which carry out a significant percentage of the work. The construction sector is characterized in all countries, by the very nature of its market, by a large number of small enterprises and by a relatively small number of large enterprises (which can also be very large). Also, in the United States: in 2007, about 62 percent of companies had 5 or less than 5 employees and generated about 10% of the turnover.

Firms with fewer than 49 employees represented 96.7% of the

_Attached: data records_
Entry 1:
{"formula": "PuPd3", "functional": "meta-GGA r2SCAN", "state": "relaxed", "ef_ev_per_atom": -0.77, "total_magnetization_mub_per_cell": 4.7, "energy_ev_per_atom": -39.576, "lattice_angstrom": [[-3.114, -0.288, -2.702], [2.713, -0.277, -3.098], [0.034, -4.113, 0.398]], "species": ["Pu", "Pd", "Pd", "Pd"], "fractional_positions": [[0.000, 0.000, 0.000], [0.000, 0.500, 0.500], [0.500, 0.500, 0.000], [0.500, 0.000, 0.500]]}

Entry 2:
{"formula": "HfAlPt", "functional": "meta-GGA r2SCAN", "state": "relaxed", "ef_ev_per_atom": -1.14, "total_magnetization_mub_per_cell": 0.0, "energy_ev_per_atom": -35.596, "lattice_angstrom": [[0.000, 0.000, -3.964], [-3.369, -5.835, 0.000], [-3.369, 5.835, 0.000]], "species": ["Pt", "Al", "Hf", "Hf", "Hf", "Pt", "Pt", "Al", "Al"], "fractional_positions": [[0.500, 0.667, 0.333], [0.500, 0.752, 0.752], [0.000, 0.000, 0.584], [0.000, 0.584, 0.000], [0.000, 0.416, 0.416], [0.000, 0.000, 0.000], [0.500, 0.333, 0.667], [0.500, 0.248, 0.000], [0.500, 0.000, 0.248]]}

Entry 3:
{"formula": "GdFeB4", "functional": "meta-GGA r2SCAN", "state": "relaxed", "ef_ev_per_atom": -0.53, "total_magnetization_mub_per_cell": 33.8, "energy_ev_per_atom": -15.063, "lattice_angstrom": [[-0.474, -2.862, 1.853], [5.450, -1.829, -1.431], [4.211, 5.299, 9.262]], "species": ["B", "Fe", "B", "B", "B", "B", "B", "B", "B", "Fe", "Gd", "B", "B", "Gd", "Fe", "B", "B", "B", "B", "B", "B", "Gd", "Gd", "Fe"], "fractional_positions": [[0.000, 0.779, 0.817], [0.500, 0.127, 0.583], [0.000, 0.721, 0.317], [0.000, 0.888, 0.546], [0.000, 0.388, 0.954], [0.000, 0.112, 0.454], [0.000, 0.221, 0.183], [0.000, 0.640, 0.467], [0.000, 0.612, 0.046], [0.500, 0.627, 0.917], [0.500, 0.873, 0.150], [0.000, 0.023, 0.310], [0.000, 0.477, 0.810], [0.500, 0.627, 0.650], [0.500, 0.873, 0.417], [0.000, 0.360, 0.533], [0.000, 0.279, 0.683], [0.000, 0.860, 0.967], [0.000, 0.140, 0.033], [0.000, 0.977, 0.690], [0.000, 0.523, 0.190], [0.500, 0.127, 0.850], [0.500, 0.373, 0.350], [0.500, 0.373, 0.083]]}

Entry 4:
{"formula": "ErCuS2", "functional": "meta-GGA r2SCAN", "state": "relaxed", "ef_ev_per_atom": -1.59, "total_magnetization_mub_per_cell": 0.0, "energy_ev_per_atom": -16.798, "lattice_angstrom": [[3.907, 0.000, 0.000], [0.000, 6.210, 0.000], [0.000, 0.000, 13.257]], "species": ["Er", "Cu", "Cu", "S", "Er", "S", "S", "S", "S", "Cu", "Cu", "Er", "S", "S", "Er", "S"], "fractional_positions": [[0.753, 0.248, 0.866], [0.244, 0.126, 0.457], [0.256, 0.874, 0.957], [0.247, 0.506, 0.460], [0.253, 0.252, 0.134], [0.248, 0.992, 0.296], [0.753, 0.006, 0.040], [0.252, 0.008, 0.796], [0.748, 0.508, 0.704], [0.744, 0.374, 0.543], [0.756, 0.626, 0.043], [0.747, 0.752, 0.366], [0.253, 0.494, 0.960], [0.752, 0.492, 0.204], [0.247, 0.748, 0.634], [0.747, 0.994, 0.540]]}

Entry 5:

American construction companies, and 51% of turnover. The remaining 3.3% of companies covered 49% of the market. In Italy, the companies registered with the Chambers of Commerce in October 2015 are 774,000 of which 532,000 are craftsmen. Smaller companies (many with only one employee) have difficulty in adapting to capital-intensive methods, also because they do not have the economic-financial-cultural capacity to make the necessary investments. In addition, there is a significant turnover among small businesses, and this makes the implementation of innovation more difficult.

Architects, engineers, technicians have difficulties to collaborate and share information about a project and this is an obstacle to improve project’s quality. Currently they use several software with legacy file formats. So, they have big difficulties to exchange files and data. This is one of the main cause of delays and cost increase of the projects.


The proposal is the adoption of the Open BIM Standard: a new approach that uses an open international standard format named IFC (Industry Foundation Classes) that allows cooperation between professionals. Open BIM is a project developed by the buildingSMART association which involves all the main AEC players.

All actors involved on the process can share their own work even if they use different software.

Someone pasted crystal structures at this point:
/*
Below is crystalline Ca3MgFe2C6O18 at its relaxed geometry, with properties calculated at the PBE with a Hubbard U level.

## Properties
E (MP2020): -7.9814 eV per atom
ΔE_f: -2.348 eV per atom
Magnetization: 8.00 Bohr magnetons per cell

Unit cell a=4.8948 b=4.8948 c=16.2063 alpha=90.00 beta=90.00 gamma=120.00
Space group P-3 (No. 147)
Unique sites:
1 Ca 0.0000 0.0000 0.0000
2 Ca 0.3333 0.6667 0.6665
3 Mg 0.0000 0.0000 0.5000
4 Fe 0.3333 0.6667 0.1667
5 C 0.0000 0.0000 0.2437
6 C 0.3333 0.6667 0.4233
7 C 0.3333 0.6667 0.9104
8 O 0.0262 0.2776 0.2449
9 O 0.0557 0.4154 0.9116
10 O 0.0849 0.6982 0.4224


(1)
Na5LuMo4O16 | the Materials Project | PBE with a Hubbard U | optimized geometry; volume = 14.6 Å³ per atom; symmetry = I4_1/a, No. 88; energy of formation = -2.334 eV per atom
1.0
-5.749 5.749 5.743
5.749 -5.749 5.743
5.749 5.749 -5.743
Na Lu Mo O
10 2 8 32
Cartesian
3.403 -1.375 5.389 Na
7.124 3.403 -3.225 Na
-1.375 2.347 2.518 Na
2.347 7.124 -0.354 Na
2.347 1.375 8.968 Na
4.375 2.347 0.354 Na
1.375 3.403 6.097 Na
3.403 4.375 3.225 Na
0.000 5.749 2.871 Na
0.000 0.000 5.743 Na
0.000 0.000 0.000 Lu
5.749 0.000 2.871 Lu
6.809 3.656 2.748 Mo
7.843 1.060 -0.124 Mo
1.060 3.656 0.124 Mo
2.093 1.060 2.995 Mo
3.656 4.690 -2.748 Mo
4.690 2.093 5.867 Mo
-1.060 2.093 8.491 Mo
-2.093 4.690 5.619 Mo
0.931 2.025 -0.711 O
3.724 0.931 2.161 O
7.775 -0.931 2.161 O
4.819 3.724 5.032 O
4.819 -2.025 3.582 O
-3.724 4.819 6.454 O
9.474 0.931 0.711 O
6.680 2.025 3.582 O
1.254 5.046 -1.024 O
0.703 1.254 1.847 O
5.046 4.496 -3.896 O
4.496 0.703 4.719 O
4.496 6.453 3.896 O
-0.703 4.496 6.767 O
6.453 1.254 1.024 O
1.254 -0.703 9.639 O
-0.352 4.052 1.161 O
1.698 -0.352 4.032 O
4.052 6.102 -1.711 O
0.352 7.447 1.161 O
2.489 -2.042 7.440 O
7.791 2.489 -1.175 O
-2.042 3.261 4.568 O
3.261 7.791 1.697 O
3.261 2.042 6.918 O
3.708 3.261 -1.697 O
2.042 2.489 4.046 O
2.489 3.708 1.175 O
5.397 4.052 1.711 O
1.698 5.397 4.582 O
-1.698 6.102 4.582 O
0.352 1.698 7.454 O

=====

(2)
Na2LuMoPO8 | the Materials Project | PBE with a Hubbard U | optimized geometry; volume = 14.4 Å³ per atom; symmetry = Ibca, No. 73; energy of formation = -2.782 eV per atom
1.0
5.305 7.925 6.290
-7.487 8.570 1.012
2.219 -10.889 2.652
Na Lu Mo P O
8 4 4 4 32
Cartesian
-1.470 13.764 6.734 Na
-0.266 5.566 3.004 Na
3.803 0.858 6.148 Na
2.516 4.376 6.525 Na
-3.766 4.748 3.806 Na
0.302 0.040 6.950 Na
-2.480 1.230 3.430 Na
1.507 -8.158 3.220 Na
-2.609 -2.268 4.344 Lu
2.645 7.874 5.611 Lu
-1.066 7.139 6.163 Lu
1.102 -1.533 3.791 Lu
0.406 10.405 7.170 Mo
-1.461 3.449 6.436 Mo
-0.370 -4.798 2.785 Mo
1.497 2.157 3.519 Mo
-0.803 -0.782 1.528 P
-2.923 7.871 3.955 P
2.959 -2.264 5.999 P
0.839 6.389 8.427 P
2.583 -3.130 4.773 O
-2.475 2.815 5.112 O
4.012 6.227 6.672 O
4.486 -1.977 6.126 O
-1.475 0.591 1.293 O
-1.142 -1.316 2.952 O
1.178 6.923 7.002 O
-0.400 11.756 6.330 O
0.817 -3.435 2.633 O
4.956 -4.750 6.842 O
2.511 2.791 4.842 O
-4.450 7.583 3.829 O
-3.976 -0.621 3.283 O
-1.806 -4.284 3.768 O
-0.781 9.041 7.321 O
*/

Architects create the BIM model of the building, save it in an IFC file and share it with engineers and technicians that add more information to the model. All the workflow process is coordinated by the BIM manager.

Condition for success

Using and sharing digital model designers reduce issues on site and during design process. Some important conditions for success could be:

· Meetings for politicians, architects, engineers, building companies to make them aware of the advantages of OpenBIM.

  • Availability of OpenBIM compliant software
  • Availability of BIM digital collaboration platforms
  • Diffusion of the results achieved in project realized with BIM metodology

A proof that it works and that it already exists

An example of good use of Open BIM is the project of the Navetta bridge in Parma (Italy). It was the first public digital contract of the Italian Minister of Infrastructure. The Open BIM has been widely used and the results have been tremendous. The 3D model has been developed by using legacy software, but the data have been exchanged by using IFC format.

Open BIM